== Listing ==
/*
Here is a 2-piece molecular cluster, C5H13NO2 overall in a non-equilibrium geometry from the OMol25 dataset. Energies are from ωB97M-V with the def2-TZVPD basis set.

The calculation puts the molar mass at 119.2 g mol⁻¹. Its energy relative to the best compared isomer or geometry (same formula, charge and spin) is 111.60 kcal/mol. Its HOMO energy is -10.14 eV. The HOMO-LUMO gap comes out at 10.99 eV. As for the SMILES: [H]/N=C(\C)OO.CCC. The electronic energy is -403.39876 hartree.

Geometry as ORCA input:
```
! wB97M-V def2-TZVPD RIJCOSX def2/J DEFGRID3
* xyz 0 1
C -1.413 -0.673 -0.165
C -2.037 0.635 0.310
C -2.036 -1.175 -1.463
H -1.509 -1.433 0.616
H -0.350 -0.519 -0.349
H -3.101 -1.366 -1.326
H -1.596 0.972 1.248
H -3.103 0.507 0.501
H -1.893 1.408 -0.444
H -1.899 -0.439 -2.255
H -1.546 -2.089 -1.795
C 1.993 0.853 1.763
C 2.125 -0.019 0.584
O 1.806 1.122 -0.443
O 1.624 0.926 -1.842
N 2.319 -1.199 0.295
H 2.495 1.111 -2.222
H 2.319 -1.880 1.045
H 1.130 0.567 2.360
H 1.758 1.839 1.240
H 2.914 0.851 2.341
*
```

---

Here is C5H13NO3 as an isolated structure in a non-equilibrium geometry from the OMol25 dataset. Energies are from ωB97M-V with the def2-TZVPD basis set.

The calculation puts the molar mass at 135.2 g mol⁻¹. Its energy relative to the best compared isomer or geometry (same formula, charge and spin) is 77.60 kcal/mol. Its HOMO energy is -8.34 eV. The HOMO-LUMO gap comes out at 9.11 eV. The electronic energy is -478.69175 hartree.

Geometry as ORCA input:
```
! wB97M-V def2-TZVPD RIJCOSX def2/J DEFGRID3
* xyz 0 1
C -0.581 0.706 -0.319
C -1.961 0.664 -0.978
N 0.359 1.176 -1.291
O -0.602 1.665 0.770
H -1.233 1.362 1.435
H -1.184 -0.869 0.610
H 1.302 1.196 -0.920
H 0.152 2.134 -1.563
H -2.700 0.240 -0.296
H -2.288 1.680 -1.217
H -1.922 0.067 -1.886
C 1.940 0.063 1.774
C 0.286 -1.832 -0.925
C 0.336 -0.920 0.274
O 1.635 -0.615 0.541
O -0.431 -1.148 1.376
H 1.532 1.074 1.760
H 1.541 -0.495 2.621
H 3.025 0.037 1.842
H -0.744 -1.992 -1.228
H 0.831 -1.399 -1.758
H 0.707 -2.794 -0.623
*
```

---

Here is a 2-piece molecular cluster, C5H13NO6S overall in a non-equilibrium geometry from the OMol25 dataset. Energies are from ωB97M-V with the def2-TZVPD basis set.

The calculation puts the molar mass at 215.2 g mol⁻¹. Its energy relative to the best compared isomer or geometry (same formula, charge and spin) is 182.01 kcal/mol. Its HOMO energy (alpha / beta) is -8.09 / -7.39 eV. The HOMO-LUMO gap (alpha / beta) comes out at 5.37 / 3.69 eV. The electronic energy is -1102.42570 hartree.

Geometry as ORCA input:
```
! wB97M-V def2-TZVPD RIJCOSX def2/J DEFGRID3
* xyz 0 1
C -0.280 1.468 -1.731
C 0.818 -1.984 1.151
C 2.281 -0.304 -0.220
C -1.938 0.179 -0.652
C 1.369 -0.665 0.834
N -0.633 0.247 -1.173
O 0.796 -0.098 3.450
O -0.014 1.586 1.866
O 2.348 1.382 2.192
O -0.373 -2.006 1.886
O 1.715 -0.952 -1.328
O -1.977 -0.074 0.733
S 1.170 0.528 2.180
H -0.465 1.411 -2.841
H -0.705 2.246 -1.201
H 0.790 1.469 -1.525
H 0.873 -2.780 0.384
H 1.733 -2.532 1.906
H 2.353 0.749 -0.285
H 3.371 -0.597 -0.073
H -2.477 -0.581 -1.167
H -2.499 1.129 -0.802
H -0.986 1.211 1.897
H -0.313 -1.361 2.647
H 0.736 -0.864 -1.336
H -1.570 -0.893 0.930
*
```

---

Here is a 2-piece molecular cluster, C5H13NOS overall in a non-equilibrium geometry from the OMol25 dataset. Energies are from ωB97M-V with the def2-TZVPD basis set.

The calculation puts the molar mass at 135.2 g mol⁻¹. Its energy relative to the best compared isomer or geometry (same formula, charge and spin) is 168.31 kcal/mol. Its HOMO energy is -6.63 eV. The HOMO-LUMO gap comes out at 4.55 eV. The electronic energy is -726.23287 hartree.

Geometry as ORCA input:
```
! wB97M-V def2-TZVPD RIJCOSX def2/J DEFGRID3
* xyz 0 1
C -0.603 0.821 -1.210
O -1.624 1.558 -1.775
C -0.886 1.089 0.334
C -0.614 -0.712 0.804
C 0.000 0.476 1.330
S 1.943 -0.784 -0.820
C 3.021 -1.950 0.049
N -2.354 0.960 0.540
H -0.458 -0.230 -1.490
H 0.261 1.435 -1.541
H -1.602 1.417 -2.725
H -0.704 2.136 0.391
H -1.533 -1.117 1.175
*/

== Work order ==
Write out all of the notes further up exactly.

== Here it is ==
Here is a 2-piece molecular cluster, C5H13NO2 overall in a non-equilibrium geometry from the OMol25 dataset. Energies are from ωB97M-V with the def2-TZVPD basis set.

The calculation puts the molar mass at 119.2 g mol⁻¹. Its energy relative to the best compared isomer or geometry (same formula, charge and spin) is 111.60 kcal/mol. Its HOMO energy is -10.14 eV. The HOMO-LUMO gap comes out at 10.99 eV. As for the SMILES: [H]/N=C(\C)OO.CCC. The electronic energy is -403.39876 hartree.

Geometry as ORCA input:
```
! wB97M-V def2-TZVPD RIJCOSX def2/J DEFGRID3
* xyz 0 1
C -1.413 -0.673 -0.165
C -2.037 0.635 0.310
C -2.036 -1.175 -1.463
H -1.509 -1.433 0.616
H -0.350 -0.519 -0.349
H -3.101 -1.366 -1.326
H -1.596 0.972 1.248
H -3.103 0.507 0.501
H -1.893 1.408 -0.444
H -1.899 -0.439 -2.255
H -1.546 -2.089 -1.795
C 1.993 0.853 1.763
C 2.125 -0.019 0.584
O 1.806 1.122 -0.443
O 1.624 0.926 -1.842
N 2.319 -1.199 0.295
H 2.495 1.111 -2.222
H 2.319 -1.880 1.045
H 1.130 0.567 2.360
H 1.758 1.839 1.240
H 2.914 0.851 2.341
*
```

---

Here is C5H13NO3 as an isolated structure in a non-equilibrium geometry from the OMol25 dataset. Energies are from ωB97M-V with the def2-TZVPD basis set.

The calculation puts the molar mass at 135.2 g mol⁻¹. Its energy relative to the best compared isomer or geometry (same formula, charge and spin) is 77.60 kcal/mol. Its HOMO energy is -8.34 eV. The HOMO-LUMO gap comes out at 9.11 eV. The electronic energy is -478.69175 hartree.

Geometry as ORCA input:
```
! wB97M-V def2-TZVPD RIJCOSX def2/J DEFGRID3
* xyz 0 1
C -0.581 0.706 -0.319
C -1.961 0.664 -0.978
N 0.359 1.176 -1.291
O -0.602 1.665 0.770
H -1.233 1.362 1.435
H -1.184 -0.869 0.610
H 1.302 1.196 -0.920
H 0.152 2.134 -1.563
H -2.700 0.240 -0.296
H -2.288 1.680 -1.217
H -1.922 0.067 -1.886
C 1.940 0.063 1.774
C 0.286 -1.832 -0.925
C 0.336 -0.920 0.274
O 1.635 -0.615 0.541
O -0.431 -1.148 1.376
H 1.532 1.074 1.760
H 1.541 -0.495 2.621
H 3.025 0.037 1.842
H -0.744 -1.992 -1.228
H 0.831 -1.399 -1.758
H 0.707 -2.794 -0.623
*
```

---

Here is a 2-piece molecular cluster, C5H13NO6S overall in a non-equilibrium geometry from the OMol25 dataset. Energies are from ωB97M-V with the def2-TZVPD basis set.

The calculation puts the molar mass at 215.2 g mol⁻¹. Its energy relative to the best compared isomer or geometry (same formula, charge and spin) is 182.01 kcal/mol. Its HOMO energy (alpha / beta) is -8.09 / -7.39 eV. The HOMO-LUMO gap (alpha / beta) comes out at 5.37 / 3.69 eV. The electronic energy is -1102.42570 hartree.

Geometry as ORCA input:
```
! wB97M-V def2-TZVPD RIJCOSX def2/J DEFGRID3
* xyz 0 1
C -0.280 1.468 -1.731
C 0.818 -1.984 1.151
C 2.281 -0.304 -0.220
C -1.938 0.179 -0.652
C 1.369 -0.665 0.834
N -0.633 0.247 -1.173
O 0.796 -0.098 3.450
O -0.014 1.586 1.866
O 2.348 1.382 2.192
O -0.373 -2.006 1.886
O 1.715 -0.952 -1.328
O -1.977 -0.074 0.733
S 1.170 0.528 2.180
H -0.465 1.411 -2.841
H -0.705 2.246 -1.201
H 0.790 1.469 -1.525
H 0.873 -2.780 0.384
H 1.733 -2.532 1.906
H 2.353 0.749 -0.285
H 3.371 -0.597 -0.073
H -2.477 -0.581 -1.167
H -2.499 1.129 -0.802
H -0.986 1.211 1.897
H -0.313 -1.361 2.647
H 0.736 -0.864 -1.336
H -1.570 -0.893 0.930
*
```

---

Here is a 2-piece molecular cluster, C5H13NOS overall in a non-equilibrium geometry from the OMol25 dataset. Energies are from ωB97M-V with the def2-TZVPD basis set.

The calculation puts the molar mass at 135.2 g mol⁻¹. Its energy relative to the best compared isomer or geometry (same formula, charge and spin) is 168.31 kcal/mol. Its HOMO energy is -6.63 eV. The HOMO-LUMO gap comes out at 4.55 eV. The electronic energy is -726.23287 hartree.

Geometry as ORCA input:
```
! wB97M-V def2-TZVPD RIJCOSX def2/J DEFGRID3
* xyz 0 1
C -0.603 0.821 -1.210
O -1.624 1.558 -1.775
C -0.886 1.089 0.334
C -0.614 -0.712 0.804
C 0.000 0.476 1.330
S 1.943 -0.784 -0.820
C 3.021 -1.950 0.049
N -2.354 0.960 0.540
H -0.458 -0.230 -1.490
H 0.261 1.435 -1.541
H -1.602 1.417 -2.725
H -0.704 2.136 0.391
H -1.533 -1.117 1.175